(Request)
Next, reproduce all of the data further down unchanged.
(Source)
+++
This entry pairs a crystal structure of Co3Ni2N with its simulated powder X-ray diffraction pattern. Radiation: Cu Kα, 1.54184 Å. Structure: a structure optimized by DFT (GGA-PBE).

Atomic structure:
Lattice parameters (Å, degrees): 6.182 6.182 6.182 90.00 90.00 90.00
Atoms (fractional coordinates):
Co 0.046 0.125 0.796
Co 0.125 0.796 0.046
Co 0.204 0.546 0.375
Co 0.296 0.454 0.875
Co 0.375 0.204 0.546
Co 0.454 0.875 0.296
Co 0.546 0.375 0.204
Co 0.625 0.704 0.954
Co 0.704 0.954 0.625
Co 0.796 0.046 0.125
Co 0.875 0.296 0.454
Co 0.954 0.625 0.704
Ni 0.065 0.935 0.435
Ni 0.185 0.185 0.185
Ni 0.315 0.815 0.685
Ni 0.435 0.065 0.935
Ni 0.565 0.565 0.565
Ni 0.685 0.315 0.815
Ni 0.815 0.685 0.315
Ni 0.935 0.435 0.065
N 0.125 0.375 0.625
N 0.375 0.625 0.125
N 0.625 0.125 0.375
N 0.875 0.875 0.875

The 10 most intense peaks (2θ from 10° to 80°), in order of rising 2θ:
d_spacing, I/Imax
2.061, 100
1.955, 52
1.864, 27
1.652, 11
1.499, 1
1.457, 6
1.382, 5
1.318, 1
1.236, 1
1.212, 24

---

This entry pairs a crystal structure of TbTm2Sc5 with its simulated powder X-ray diffraction pattern. Radiation: Cu Kα, 1.54184 Å. Structure: a structure optimized by DFT (GGA-PBE).

Atomic structure:
Lattice parameters (Å, degrees): 7.954 6.828 6.321 74.34 55.74 49.92
Atoms (fractional coordinates):
Tb 0.000 0.000 0.000
Tm 0.424 0.914 0.086
Tm 0.914 0.424 0.576
Sc 0.006 0.501 0.994
Sc 0.416 0.416 0.084
Sc 0.499 0.499 0.501
Sc 0.501 0.006 0.499
Sc 0.916 0.916 0.584

The 10 most intense peaks (2θ from 10° to 80°), in order of rising 2θ:
d_spacing, I/Imax
5.913, 13
3.955, 26
2.956, 26
2.660, 24
2.584, 100
1.977, 16
1.707, 18
1.521, 19
1.437, 20
1.424, 15

---

This entry pairs a crystal structure of CsCuCl3 with its simulated powder X-ray diffraction pattern. Radiation: Cu Kα, 1.54184 Å. Structure: a structure optimized by DFT (GGA-PBE).

Atomic structure:
Lattice parameters (Å, degrees): 7.323 7.323 6.037 90.00 90.00 120.00
Atoms (fractional coordinates):
Cs 0.333 0.667 0.000
Cs 0.667 0.333 0.500
Cu 0.000 0.000 0.251
Cu 0.000 0.000 0.751
Cl 0.153 0.306 0.501
Cl 0.153 0.847 0.501
Cl 0.306 0.153 0.001
Cl 0.694 0.847 0.501
Cl 0.847 0.153 0.001
Cl 0.847 0.694 0.001

The 10 most intense peaks (2θ from 10° to 80°), in order of rising 2θ:
d_spacing, I/Imax
4.373, 55
3.661, 65
3.019, 14
2.807, 100
2.726, 25
2.186, 40
2.114, 14
1.877, 27
1.831, 28
1.699, 20

---

This entry pairs a crystal structure of Pr2SmDyEr with its simulated powder X-ray diffraction pattern. Radiation: Cu Kα, 1.54184 Å. Structure: a structure optimized by DFT (GGA-PBE).

Atomic structure:
Lattice parameters (Å, degrees): 7.209 7.209 7.321 90.00 90.00 107.79
Atoms (fractional coordinates):
Pr 0.194 0.194 0.000
Pr 0.194 0.194 0.500
Pr 0.806 0.806 0.000
Pr 0.806 0.806 0.500
Sm 0.223 0.777 0.750
Sm 0.777 0.223 0.250
Dy 0.236 0.764 0.250
Dy 0.764 0.236 0.750
Er 0.489 0.511 0.750
Er 0.511 0.489 0.250

The 10 most intense peaks (2θ from 10° to 80°), in order of rising 2θ:
d_spacing, I/Imax
4.248, 20
3.432, 46
3.230, 31
3.099, 49
2.912, 60
2.773, 100
+++
(Here it is)
This entry pairs a crystal structure of Co3Ni2N with its simulated powder X-ray diffraction pattern. Radiation: Cu Kα, 1.54184 Å. Structure: a structure optimized by DFT (GGA-PBE).

Atomic structure:
Lattice parameters (Å, degrees): 6.182 6.182 6.182 90.00 90.00 90.00
Atoms (fractional coordinates):
Co 0.046 0.125 0.796
Co 0.125 0.796 0.046
Co 0.204 0.546 0.375
Co 0.296 0.454 0.875
Co 0.375 0.204 0.546
Co 0.454 0.875 0.296
Co 0.546 0.375 0.204
Co 0.625 0.704 0.954
Co 0.704 0.954 0.625
Co 0.796 0.046 0.125
Co 0.875 0.296 0.454
Co 0.954 0.625 0.704
Ni 0.065 0.935 0.435
Ni 0.185 0.185 0.185
Ni 0.315 0.815 0.685
Ni 0.435 0.065 0.935
Ni 0.565 0.565 0.565
Ni 0.685 0.315 0.815
Ni 0.815 0.685 0.315
Ni 0.935 0.435 0.065
N 0.125 0.375 0.625
N 0.375 0.625 0.125
N 0.625 0.125 0.375
N 0.875 0.875 0.875

The 10 most intense peaks (2θ from 10° to 80°), in order of rising 2θ:
d_spacing, I/Imax
2.061, 100
1.955, 52
1.864, 27
1.652, 11
1.499, 1
1.457, 6
1.382, 5
1.318, 1
1.236, 1
1.212, 24

---

This entry pairs a crystal structure of TbTm2Sc5 with its simulated powder X-ray diffraction pattern. Radiation: Cu Kα, 1.54184 Å. Structure: a structure optimized by DFT (GGA-PBE).

Atomic structure:
Lattice parameters (Å, degrees): 7.954 6.828 6.321 74.34 55.74 49.92
Atoms (fractional coordinates):
Tb 0.000 0.000 0.000
Tm 0.424 0.914 0.086
Tm 0.914 0.424 0.576
Sc 0.006 0.501 0.994
Sc 0.416 0.416 0.084
Sc 0.499 0.499 0.501
Sc 0.501 0.006 0.499
Sc 0.916 0.916 0.584

The 10 most intense peaks (2θ from 10° to 80°), in order of rising 2θ:
d_spacing, I/Imax
5.913, 13
3.955, 26
2.956, 26
2.660, 24
2.584, 100
1.977, 16
1.707, 18
1.521, 19
1.437, 20
1.424, 15

---

This entry pairs a crystal structure of CsCuCl3 with its simulated powder X-ray diffraction pattern. Radiation: Cu Kα, 1.54184 Å. Structure: a structure optimized by DFT (GGA-PBE).

Atomic structure:
Lattice parameters (Å, degrees): 7.323 7.323 6.037 90.00 90.00 120.00
Atoms (fractional coordinates):
Cs 0.333 0.667 0.000
Cs 0.667 0.333 0.500
Cu 0.000 0.000 0.251
Cu 0.000 0.000 0.751
Cl 0.153 0.306 0.501
Cl 0.153 0.847 0.501
Cl 0.306 0.153 0.001
Cl 0.694 0.847 0.501
Cl 0.847 0.153 0.001
Cl 0.847 0.694 0.001

The 10 most intense peaks (2θ from 10° to 80°), in order of rising 2θ:
d_spacing, I/Imax
4.373, 55
3.661, 65
3.019, 14
2.807, 100
2.726, 25
2.186, 40
2.114, 14
1.877, 27
1.831, 28
1.699, 20

---

This entry pairs a crystal structure of Pr2SmDyEr with its simulated powder X-ray diffraction pattern. Radiation: Cu Kα, 1.54184 Å. Structure: a structure optimized by DFT (GGA-PBE).

Atomic structure:
Lattice parameters (Å, degrees): 7.209 7.209 7.321 90.00 90.00 107.79
Atoms (fractional coordinates):
Pr 0.194 0.194 0.000
Pr 0.194 0.194 0.500
Pr 0.806 0.806 0.000
Pr 0.806 0.806 0.500
Sm 0.223 0.777 0.750
Sm 0.777 0.223 0.250
Dy 0.236 0.764 0.250
Dy 0.764 0.236 0.750
Er 0.489 0.511 0.750
Er 0.511 0.489 0.250

The 10 most intense peaks (2θ from 10° to 80°), in order of rising 2θ:
d_spacing, I/Imax
4.248, 20
3.432, 46
3.230, 31
3.099, 49
2.912, 60
2.773, 100